You're SO's Parents (aka in-laws)



  • ericalynn104
    ericalynn104 Posts: 382 Member
    His dad is AWESOME and we get along really well. His mom and I have had an interesting relationship... We're working on trying to get along but its still pretty awkward.
  • knittnponder
    knittnponder Posts: 1,953 Member
    I love her while she's living in another state. Daily doses might cause me to drink. A lot.
  • caitlinclock
    caitlinclock Posts: 528 Member
    I love my husband's parents. :)
  • melcpia
    melcpia Posts: 123 Member
    My parents-in-law are just the best. I love them to bits and would be lost without them. When my hubby and I got together I already had 2 kids, there was no issue with that from them. THey took on my kids without even meeting them as THIER grandkids. They are both elderly (him 83 and her 89) and dad's not in great shape. But he and I have a special relationship, everytime I go over to visit I walk in and ask " Gday grumble guts, haven't you kicked off yet??" He loves the fact I have a banter with him. In 2006 he got really really sick and wasn't expected to live, but he did and we've had 5 more years.

    My own parents tho...hmmm lets say my mum deliberately keep my father from me and I didn't find out till well after his death who he was... and she tried the same caper to keep my brother and I apart. I no longer have anything to do with my mum and both my brother and I have said we refuse to pay for anything to do with her funeral....he body can go to science for all I care.
  • BeetleChe13
    BeetleChe13 Posts: 498 Member
    My husband's parents are wonderful. I come from a broken family with less than caring parents. His mother is like the mother I always wanted. I love them very much and feel like they love me more than my own family. I count myself very blessed.
  • I love his mom! She is the cutest and sweetest thing. She always texts me and tells me she misses me whenever I don't see her! I love her because she doesn't judge me and is so hilarious.
  • Mine called me a filthy disgusting pig.. So yeah.. no love lost there.. Considering we live together and are paying all her bills so she can stay in her house.
  • Ocarina
    Ocarina Posts: 1,550 Member
    I love my in-laws. We get along perfectly. Well almost.

-- Data records, kept here for reference --
=====
Here is TlTePO after structural relaxation from Alexandria. Energies are from PBE.

Properties
Space group = Cm
V = 119.97 Å³ per cell
Magnetization = 0.0 μB/f.u.
Raw formation energy = -0.62 eV/atom

Lattice parameters (Å, degrees): 6.888 6.888 5.146 109.41 109.41 31.57
Sites, in units of the cell vectors:
Tl 0.000 0.000 0.000
Te 0.739 0.739 0.429
P 0.363 0.363 0.345
O 0.467 0.467 0.608

* * * * *

Entry 1:
5
Lattice="5.105 0.000 0.000 0.000 5.105 0.000 0.000 0.000 4.600" Properties=species:S:1:pos:R:3 comment="LiCaVSb2 | Alexandria | PBE-GGA | relaxed" magnetic_moment_mub_per_atom=0.735 dft_energy_ev_per_atom=-4.12 vol_a3_per_atom=23.98 formation_energy_uncorrected_ev_per_atom=0.141 pbc="T T T"
Li 0.000 0.000 0.000
Ca 2.553 2.553 2.300
V 0.000 0.000 2.300
Sb 0.000 2.553 0.000
Sb 2.553 0.000 0.000

Entry 2:
5
Lattice="5.725 0.000 0.000 0.000 5.725 0.000 0.000 0.000 5.900" Properties=species:S:1:pos:R:3 comment="LiCaZnSb2 | Alexandria | PBE-GGA | relaxed" magnetic_moment_mub_per_atom=0.000 dft_energy_ev_per_atom=-2.14 vol_a3_per_atom=38.67 formation_energy_uncorrected_ev_per_atom=0.545 pbc="T T T"
Li 0.000 0.000 0.000
Ca 0.000 0.000 2.950
Zn 2.862 2.862 0.000
Sb 0.000 2.862 2.950
Sb 2.862 0.000 2.950

Entry 3:
4
Lattice="4.023 0.000 0.000 0.000 5.430 0.000 0.000 0.000 5.734" Properties=species:S:1:pos:R:3 comment="LiCa2Sc | Alexandria | PBE-GGA | relaxed" magnetic_moment_mub_per_atom=0.000 formation_energy_ev_per_fu=0.99 dft_energy_ev_per_atom=-2.81 vol_a3_per_atom=31.31 pbc="T T T"
Li 0.000 0.000 0.000
Ca 0.000 2.715 2.867
Ca 2.011 2.715 0.000
Sc 2.011 0.000 2.867

Entry 4:
6
Lattice="3.696 0.000 0.000 0.000 3.696 0.000 0.000 0.000 12.329" Properties=species:S:1:pos:R:3 comment="LiCaSc | Alexandria | PBE-GGA | relaxed" magnetic_moment_mub_per_atom=0.063 formation_energy_ev_per_fu=0.25 dft_energy_ev_per_atom=-3.33 vol_a3_per_atom=28.07 pbc="T T T"
Li 0.924 0.924 0.690
Li 2.772 2.772 11.639
Ca 0.924 0.924 9.409
Ca 2.772 2.772 2.920
Sc 0.924 0.924 5.311
Sc 2.772 2.772 7.019

Entry 5:
4
Lattice="0.000 3.745 3.745 3.745 0.000 3.745 3.745 3.745 0.000" Properties=species:S:1:pos:R:3 comment="Li2CaSc | Alexandria | PBE-GGA | relaxed" magnetic_moment_mub_per_atom=0.000 formation_energy_ev_per_fu=1.28 dft_energy_ev_per_atom=-2.72 vol_a3_per_atom=26.27 pbc="T T T"
Li 0.000 0.000 0.000
Li 1.873 1.873 1.873
Ca 5.618 5.618 5.618
Sc 3.745 3.745 3.745

Entry 6:
4
Lattice="-1.704 2.730 5.503 1.704 -2.730 5.503 1.704 2.730 -5.503" Properties=species:S:1:pos:R:3 comment="Li2CaSc | Alexandria | PBE-GGA | relaxed" magnetic_moment_mub_per_atom=0.000 formation_energy_ev_per_fu=0.76 dft_energy_ev_per_atom=-2.85 vol_a3_per_atom=25.59 pbc="T T T"
Li 0.000 0.000 0.000
Li 0.000 2.730 3.329
Ca 0.000 0.000 5.973
Sc 1.704 0.000 2.763

Entry 7:
4
=====
-- So much for the data records --

    But my hubby's dad is completely anti technology and old fashioned to the T and ALWAYS working so I never really get to interact with him. They used to drive me to school back and forth before I got my license. And have even helped us financially without any second thought. He absolutely loves books and religion.

    My mother in law is totally like my sister... she is basically a full time ice skater/stay at home mom and loves everything super girly. She is also very supportive, friendly, and religious. She loves to talk but knows a lot. She's addicted to lottery tickets and always talks about the new big home she will purchase. Also she plays World of Warcraft casually.

    I love both my husband's parents. They are super kind and my husband most likely picked up his gentleness from them as well. They can be really wacky or dramatic sometimes but it's NEVER dragged out and you just have to let them vent to you about it then they let it drop.